UHRP Report Illustrates CGTN’s Role in Cleansing Genocide

For immediate release
December 21, 2021 6:00 a.m. EST
Uyghur Human Rights Project
Contact: Omer Kanat +1 (202) 790-1795, Peter Irwin +1 (646) 906-7722
The Uyghur Human Rights Project (UHRP) has released a new report, Meet the “New” Uyghurs: CGTN’s Role in Mediawashing Genocide, documenting how Chinese state media plays a key role in the global dissemination of genocide-cleansing narratives.
From the start of the mass internment campaign in 2017, the Chinese party-state has formulated and promoted “new” (i.e., “reeducated” and ideologically “correct”) Uyghurs in a “new” Uyghur homeland.
China’s flagship international broadcaster, China Global Television Network (CGTN), is central to an influence campaign meant to convince a worldwide public that the Uyghurs and East Turkistan have been politically cleansed through reeducation, and that the region is now open for state-approved cultural tourism and economic exploitation.
[Next to the article, the page also holds data records]
=====
1.
For Li2YCoF8, a cell relaxed with GGA+U gives the calculated powder X-ray diffraction pattern in this record (Cu Kα, 1.54184 Å).

Largest 10 diffraction maxima, in order of falling intensity, 15 to 90 degrees two-theta:
2theta, I_rel
18.69, 100
26.14, 32
26.95, 30
38.08, 29
39.09, 26
42.03, 25
27.10, 20
32.83, 17
33.41, 14
52.26, 11

Atomic structure:
Cell lengths 4.7478, 4.7554, 6.5822 Å; angles 91.13, 90.89, 91.69 degrees
Positions (direct):
Li 0.0022 0.9995 0.2531
Li 0.9978 0.0005 0.7469
Y 0.5000 0.5000 0.5000
Co 0.5000 0.5000 0.0000
F 0.1843 0.8142 0.5001
F 0.2337 0.7647 0.0009
F 0.2952 0.2941 0.2311
F 0.3064 0.3058 0.7778
F 0.6936 0.6942 0.2222
F 0.7048 0.7059 0.7689
F 0.7663 0.2353 0.9991
F 0.8157 0.1858 0.4999

2.
For Li2ZnCoF6, a cell relaxed with GGA+U gives the calculated powder X-ray diffraction pattern in this record (Cu Kα, 1.54184 Å).

Largest 10 diffraction maxima, in order of falling intensity, 15 to 90 degrees two-theta:
2theta, I_rel
23.56, 100
32.41, 43
52.77, 41
39.82, 28
62.15, 20
48.19, 20
42.35, 17
60.72, 16
34.67, 16
55.84, 15

Atomic structure:
Cell lengths 5.1714, 5.1737, 5.5488 Å; angles 117.78, 90.02, 119.94 degrees
Positions (direct):
Li 0.0000 0.0000 0.0000
Li 0.4962 0.9935 0.4904
Zn 0.2905 0.5814 0.8725
Co 0.7916 0.5837 0.3762
F 0.0812 0.4725 0.1703
F 0.1962 0.0875 0.6694
F 0.3904 0.0879 0.1711
F 0.5800 0.7768 0.6681
F 0.6974 0.7792 0.1703
F 0.8904 0.4716 0.6686

3.
For MgCoF4, a cell relaxed with GGA+U gives the calculated powder X-ray diffraction pattern in this record (Cu Kα, 1.54184 Å).

Largest 10 diffraction maxima, in order of falling intensity, 15 to 90 degrees two-theta:
2theta, I_rel
26.67, 100
52.13, 70
34.23, 42
39.33, 35
66.35, 29
19.37, 27
54.95, 22
33.18, 17
65.58, 13
58.67, 13

Atomic structure:
Cell lengths 5.6781, 5.6781, 5.6781 Å; angles 107.89, 107.89, 112.69 degrees
Positions (direct):
Mg 0.0000 0.0000 0.0000
Mg 0.7500 0.2500 0.5000
Co 0.2468 0.7468 0.5000
Co 0.4968 0.4968 0.0000
F 0.0444 0.2420 0.8024
F 0.4396 0.2420 0.1976
F 0.5042 0.1999 0.6957
F 0.5042 0.8085 0.3043
F 0.5585 0.7542 0.8043
F 0.9499 0.7542 0.1957
F 0.9920 0.2944 0.3024
F 0.9920 0.6896 0.6976

4.
For Mg2CoF6, a cell relaxed with GGA+U gives the calculated powder X-ray diffraction pattern in this record (Cu Kα, 1.54184 Å).

Largest 10 diffraction maxima, in order of falling intensity, 15 to 90 degrees two-theta:
2theta, I_rel
23.25, 100
39.28, 80
52.08, 68
32.01, 41
18.76, 40
61.23, 36
20.53, 29
47.54, 29
59.85, 19
34.19, 18

Atomic structure:
Cell lengths 5.6161, 5.6161, 5.6161 Å; angles 55.67, 55.67, 55.67 degrees
Positions (direct):
Mg 0.0000 0.0000 0.0000
Mg 0.1982 0.1982 0.1982
Co 0.5052 0.5052 0.5052
F 0.1443 0.7960 0.3602
F 0.2516 0.6035 0.9190
F 0.3602 0.1443 0.7960
F 0.6035 0.9190 0.2516
F 0.7960 0.3602 0.1443
F 0.9190 0.2516 0.6035

5.
For MgCoSnF6, a cell relaxed with GGA+U gives the calculated powder X-ray diffraction pattern in this record (Cu Kα, 1.54184 Å).
=====
“China is desperate to show the world that its so-called reeducation campaign has transformed Uyghurs, and East Turkistan into a land of opportunity. Nothing could be further from the truth. On December 9, the independent Uyghur Tribunal concluded the Chinese state is engaged in the genocide of the Uyghur people. The push by CGTN, Xinhua, and China Daily to distort reality makes them enablers in a mass ‘gaslighting’ campaign,” said UHRP Executive Director Omer Kanat.
Mr. Kanat added, “CGTN should be ‘off limits’ as a partner for any international media outlet. CGTN’s propaganda role is obvious, and it is working overtime to distribute a fake picture of Uyghur life. It’s incredible that so many overseas partners still have agreements with CGTN to use its content,” referring to CGTN video and text materials widely available in English, Spanish, Arabic and other languages globally, via apps, cable, satellite, and streaming television services.
UHRP’s report outlines CGTN’s role in Chinese party-state “mediawashing” through a text analysis of CGTN media output from 2017 to 2020. First, we examine the administrative framework, content reach, and intentions of CGTN, with reference to control by the party-state as well as the reach of CGTN’s online platforms. Then, through an analysis of 307 CGTN media texts from 2017 to 2020, as the Uyghur genocide unfolded, UHRP charts the evolution of parallel media narratives promoting a positive view of the state’s program of ideological and cultural cleansing.
The first media narrative outlines the ideological purification of Uyghurs, which enables them to participate in state-defined social and economic productivity. The second is the invented representation of a sanitized Uyghur homeland through an emphasis on staged cultural stories and physical geographies absent of human rights violations.
The current narratives of a cleansed people and land come as Uyghur identity has been deracinated through mass internment, high-tech surveillance, forced sterilization, forced labor, cultural destruction, and the eradication of organic systems of Islamic faith. The “new” Uyghurs depicted by the Chinese party-state through its CGTN proxy neither speak the Uyghur language nor believe in Islam, but express gratitude to a version of modernization soaked with human rights violations.
Mr. Kanat added, “The ‘new’ Uyghurs presented in the broadcasts of CGTN are victims too. We ask CGTN’s international partners to consider their complicity in the coverup of the Uyghur genocide. Social media platforms, Google Play, and the Apple Store, as well as cable, satellite, and streaming television services act as distributors of CGTN disinformation. It is time to end these relationships.”
Read the full report here: Meet the “New” Uyghurs: CGTN’s Role in Mediawashing Genocide